**Given:**
+++
(1)
# PBE Tl4InCl6, relaxed
# Energy relative to the elements, uncorrected in eV per atom: -0.95
# Crystal system: tetragonal
# Final energy in eV per atom: -3.065
data_Tl4InCl6
_cell_length_a 8.6800
_cell_length_b 8.6800
_cell_length_c 9.1754
_cell_angle_alpha 90.00
_cell_angle_beta 90.00
_cell_angle_gamma 90.00
_symmetry_space_group_name_H-M 'P 1'
_symmetry_Int_Tables_number 1
_symmetry_space_group_name_Hall 'P 1'
loop_
_atom_site_label
_atom_site_type_symbol
_atom_site_fract_x
_atom_site_fract_y
_atom_site_fract_z
_atom_site_occupancy
Tl1 Tl 0.1617 0.6617 0.7500 1
Cl1 Cl 0.3027 0.8745 0.5000 1
Cl2 Cl 0.8027 0.6255 0.0000 1
Tl2 Tl 0.8383 0.3383 0.7500 1
Cl3 Cl 0.6255 0.1973 0.0000 1
Tl3 Tl 0.8383 0.3383 0.2500 1
Cl4 Cl 0.5000 0.5000 0.2958 1
In1 In 0.0000 0.0000 0.5000 1
Cl5 Cl 0.6973 0.1255 0.5000 1
Cl6 Cl 0.5000 0.5000 0.7042 1
Cl7 Cl 0.3745 0.8027 0.0000 1
Cl8 Cl 0.1973 0.3745 0.0000 1
Cl9 Cl 0.0000 0.0000 0.7958 1
Tl4 Tl 0.6617 0.8383 0.7500 1
Cl10 Cl 0.8745 0.6973 0.5000 1
Tl5 Tl 0.1617 0.6617 0.2500 1
Tl6 Tl 0.3383 0.1617 0.2500 1
Cl11 Cl 0.0000 0.0000 0.2042 1
Tl7 Tl 0.6617 0.8383 0.2500 1
In2 In 0.5000 0.5000 0.0000 1
Cl12 Cl 0.1255 0.3027 0.5000 1
Tl8 Tl 0.3383 0.1617 0.7500 1

---

(2)
# PBE Tl2InCl, relaxed
# Energy relative to the elements, uncorrected in eV per atom: -0.28
# Crystal system: orthorhombic
# Relative energy among the computed polymorphs in meV per atom: 71
# Final energy in eV per atom: -2.612
data_Tl2InCl
_cell_length_a 6.4798
_cell_length_b 6.4798
_cell_length_c 6.4798
_cell_angle_alpha 142.56
_cell_angle_beta 132.79
_cell_angle_gamma 61.75
_symmetry_space_group_name_H-M 'P 1'
_symmetry_Int_Tables_number 1
_symmetry_space_group_name_Hall 'P 1'
loop_
_atom_site_label
_atom_site_type_symbol
_atom_site_fract_x
_atom_site_fract_y
_atom_site_fract_z
_atom_site_occupancy
Tl1 Tl 0.9802 0.9802 0.0000 1
Cl1 Cl 0.7500 0.2500 0.5000 1
Tl2 Tl 0.5198 0.5198 0.0000 1
In1 In 0.2500 0.7500 0.5000 1

---

(3)
# PBE TlIn2Cl, relaxed
# Energy relative to the elements, uncorrected in eV per atom: -0.17
# Crystal system: cubic
# Relative energy among the computed polymorphs in meV per atom: 181
# Final energy in eV per atom: -2.594
data_TlIn2Cl
_cell_length_a 5.4115
_cell_length_b 5.4115
_cell_length_c 5.4115
_cell_angle_alpha 60.00
_cell_angle_beta 60.00
_cell_angle_gamma 60.00
_symmetry_space_group_name_H-M 'P 1'
_symmetry_Int_Tables_number 1
_symmetry_space_group_name_Hall 'P 1'
loop_
_atom_site_label
_atom_site_type_symbol
_atom_site_fract_x
_atom_site_fract_y
_atom_site_fract_z
_atom_site_occupancy
Cl1 Cl 0.0000 0.0000 0.0000 1
Tl1 Tl 0.5000 0.5000 0.5000 1
In1 In 0.7500 0.7500 0.7500 1
In2 In 0.2500 0.2500 0.2500 1

---

(4)
# PBE TlInCl2, relaxed
# Energy relative to the elements, uncorrected in eV per atom: -0.91
# Crystal system: monoclinic
# Relative energy among the computed polymorphs in meV per atom: 2
# Final energy in eV per atom: -3.106
data_TlInCl2
_cell_length_a 6.4761
_cell_length_b 6.4761
_cell_length_c 8.0581
_cell_angle_alpha 62.55
_cell_angle_beta 62.55
_cell_angle_gamma 82.36
_symmetry_space_group_name_H-M 'P 1'
_symmetry_Int_Tables_number 1
_symmetry_space_group_name_Hall 'P 1'
loop_
_atom_site_label
_atom_site_type_symbol
_atom_site_fract_x
_atom_site_fract_y
_atom_site_fract_z
_atom_site_occupancy
Cl1 Cl 0.9500 0.1359 0.2504 1
Cl2 Cl 0.0500 0.8641 0.7496 1
In1 In 0.6012 0.8988 0.7500 1
In2 In 0.3988 0.1012 0.2500 1
Tl1 Tl 0.1350 0.3650 0.7500 1
Tl2 Tl 0.8650 0.6350 0.2500 1
Cl3 Cl 0.3641 0.5500 0.2496 1
Cl4 Cl 0.6359 0.4500 0.7504 1

---

(5)
# PBE TlIn2Cl7, relaxed
# Energy relative to the elements, uncorrected in eV per atom: -0.98
# Crystal system: orthorhombic
# Final energy in eV per atom: -3.058
data_TlIn2Cl7
_cell_length_a 4.1724
_cell_length_b 10.3120
_cell_length_c 10.3121
_cell_angle_alpha 133.58
_cell_angle_beta 90.00
_cell_angle_gamma 90.00
_symmetry_space_group_name_H-M 'P 1'
_symmetry_Int_Tables_number 1
_symmetry_space_group_name_Hall 'P 1'
loop_
_atom_site_label
+++

**Exercise:**
Next, set down all of the block earlier on word for word.

**Solution:**
(1)
# PBE Tl4InCl6, relaxed
# Energy relative to the elements, uncorrected in eV per atom: -0.95
# Crystal system: tetragonal
# Final energy in eV per atom: -3.065
data_Tl4InCl6
_cell_length_a 8.6800
_cell_length_b 8.6800
_cell_length_c 9.1754
_cell_angle_alpha 90.00
_cell_angle_beta 90.00
_cell_angle_gamma 90.00
_symmetry_space_group_name_H-M 'P 1'
_symmetry_Int_Tables_number 1
_symmetry_space_group_name_Hall 'P 1'
loop_
_atom_site_label
_atom_site_type_symbol
_atom_site_fract_x
_atom_site_fract_y
_atom_site_fract_z
_atom_site_occupancy
Tl1 Tl 0.1617 0.6617 0.7500 1
Cl1 Cl 0.3027 0.8745 0.5000 1
Cl2 Cl 0.8027 0.6255 0.0000 1
Tl2 Tl 0.8383 0.3383 0.7500 1
Cl3 Cl 0.6255 0.1973 0.0000 1
Tl3 Tl 0.8383 0.3383 0.2500 1
Cl4 Cl 0.5000 0.5000 0.2958 1
In1 In 0.0000 0.0000 0.5000 1
Cl5 Cl 0.6973 0.1255 0.5000 1
Cl6 Cl 0.5000 0.5000 0.7042 1
Cl7 Cl 0.3745 0.8027 0.0000 1
Cl8 Cl 0.1973 0.3745 0.0000 1
Cl9 Cl 0.0000 0.0000 0.7958 1
Tl4 Tl 0.6617 0.8383 0.7500 1
Cl10 Cl 0.8745 0.6973 0.5000 1
Tl5 Tl 0.1617 0.6617 0.2500 1
Tl6 Tl 0.3383 0.1617 0.2500 1
Cl11 Cl 0.0000 0.0000 0.2042 1
Tl7 Tl 0.6617 0.8383 0.2500 1
In2 In 0.5000 0.5000 0.0000 1
Cl12 Cl 0.1255 0.3027 0.5000 1
Tl8 Tl 0.3383 0.1617 0.7500 1

---

(2)
# PBE Tl2InCl, relaxed
# Energy relative to the elements, uncorrected in eV per atom: -0.28
# Crystal system: orthorhombic
# Relative energy among the computed polymorphs in meV per atom: 71
# Final energy in eV per atom: -2.612
data_Tl2InCl
_cell_length_a 6.4798
_cell_length_b 6.4798
_cell_length_c 6.4798
_cell_angle_alpha 142.56
_cell_angle_beta 132.79
_cell_angle_gamma 61.75
_symmetry_space_group_name_H-M 'P 1'
_symmetry_Int_Tables_number 1
_symmetry_space_group_name_Hall 'P 1'
loop_
_atom_site_label
_atom_site_type_symbol
_atom_site_fract_x
_atom_site_fract_y
_atom_site_fract_z
_atom_site_occupancy
Tl1 Tl 0.9802 0.9802 0.0000 1
Cl1 Cl 0.7500 0.2500 0.5000 1
Tl2 Tl 0.5198 0.5198 0.0000 1
In1 In 0.2500 0.7500 0.5000 1

---

(3)
# PBE TlIn2Cl, relaxed
# Energy relative to the elements, uncorrected in eV per atom: -0.17
# Crystal system: cubic
# Relative energy among the computed polymorphs in meV per atom: 181
# Final energy in eV per atom: -2.594
data_TlIn2Cl
_cell_length_a 5.4115
_cell_length_b 5.4115
_cell_length_c 5.4115
_cell_angle_alpha 60.00
_cell_angle_beta 60.00
_cell_angle_gamma 60.00
_symmetry_space_group_name_H-M 'P 1'
_symmetry_Int_Tables_number 1
_symmetry_space_group_name_Hall 'P 1'
loop_
_atom_site_label
_atom_site_type_symbol
_atom_site_fract_x
_atom_site_fract_y
_atom_site_fract_z
_atom_site_occupancy
Cl1 Cl 0.0000 0.0000 0.0000 1
Tl1 Tl 0.5000 0.5000 0.5000 1
In1 In 0.7500 0.7500 0.7500 1
In2 In 0.2500 0.2500 0.2500 1

---

(4)
# PBE TlInCl2, relaxed
# Energy relative to the elements, uncorrected in eV per atom: -0.91
# Crystal system: monoclinic
# Relative energy among the computed polymorphs in meV per atom: 2
# Final energy in eV per atom: -3.106
data_TlInCl2
_cell_length_a 6.4761
_cell_length_b 6.4761
_cell_length_c 8.0581
_cell_angle_alpha 62.55
_cell_angle_beta 62.55
_cell_angle_gamma 82.36
_symmetry_space_group_name_H-M 'P 1'
_symmetry_Int_Tables_number 1
_symmetry_space_group_name_Hall 'P 1'
loop_
_atom_site_label
_atom_site_type_symbol
_atom_site_fract_x
_atom_site_fract_y
_atom_site_fract_z
_atom_site_occupancy
Cl1 Cl 0.9500 0.1359 0.2504 1
Cl2 Cl 0.0500 0.8641 0.7496 1
In1 In 0.6012 0.8988 0.7500 1
In2 In 0.3988 0.1012 0.2500 1
Tl1 Tl 0.1350 0.3650 0.7500 1
Tl2 Tl 0.8650 0.6350 0.2500 1
Cl3 Cl 0.3641 0.5500 0.2496 1
Cl4 Cl 0.6359 0.4500 0.7504 1

---

(5)
# PBE TlIn2Cl7, relaxed
# Energy relative to the elements, uncorrected in eV per atom: -0.98
# Crystal system: orthorhombic
# Final energy in eV per atom: -3.058
data_TlIn2Cl7
_cell_length_a 4.1724
_cell_length_b 10.3120
_cell_length_c 10.3121
_cell_angle_alpha 133.58
_cell_angle_beta 90.00
_cell_angle_gamma 90.00
_symmetry_space_group_name_H-M 'P 1'
_symmetry_Int_Tables_number 1
_symmetry_space_group_name_Hall 'P 1'
loop_
_atom_site_label